• Wanted:
What is needed: repeat the lines further below from the one with "energy**: -0.42" to the one with "**D(E_F)**: 4.0" without additions.

• Excerpt:
- - -
Here is an optimized crystal structure of YRuBr2 from the Alexandria database. Energies are from PBE-GGA.

## Properties
**E above lowest polymorph**: 153 meV per atom
**Crystal system**: monoclinic
**Formation energy (no corrections)**: -0.464 eV per atom
**Magnetic moment**: 1.01 μB per formula unit
**DOS at the Fermi energy**: 0.068 states/eV per atom
**Theoretical density**: 5.21 g cm⁻³
**Electronic total energy**: -0.38478 Ry/atom

a b c (Å): 5.8295 5.8295 5.6691
angles (deg): 93.06 93.06 35.44
Last column: nearest neighbours and their distance in Å.
Positions (direct):
Y: 0.0000 0.0000 0.0000  2 Ru 2.70, 3 Br 2.99-3.00
Ru: 0.6380 0.6380 0.2535  3 Br 2.49-2.69, 2 Y 2.70
Br: 0.2700 0.2700 0.0212  2 Ru 2.69, 1 Y 2.99
Br: 0.4928 0.4928 0.5731  1 Ru 2.49

=====

VASP calculation (GGA-PBE) on a relaxed LaSc2Ni crystal.

Structure (extended XYZ):
```
4
Lattice="5.9749 0.0140 0.0099 2.7206 5.3196 -0.0099 -3.7707 -3.6076 2.9098" Properties=species:S:1:pos:R:3 pbc="T T T"
Sc 0.4872 0.2988 0.0000
La 3.9553 2.4261 0.0000
Sc 3.2868 -0.4568 1.4598
Ni 1.5432 2.1246 1.4500
```

Output
**Offset from the most stable computed form**: 97.8 meV/atom
**Density**: 5175 kg/m³
**Calculated formation energy**: -0.42 eV/f.u.
**D(E_F)**: 4.1 states/eV/f.u.

---

VASP calculation (GGA-PBE) on a relaxed TbDyTm2 crystal.

Structure (extended XYZ):
```
4
Lattice="3.5427 0.0000 0.0000 1.7714 3.0681 0.0000 1.7714 1.0227 11.3117" Properties=species:S:1:pos:R:3 pbc="T T T"
Tm 1.7714 1.0227 2.8410
Tm 1.7714 1.0227 8.4746
Dy 3.5427 2.0454 5.6395
Tb 3.5427 2.0454 0.0125
```

Output
**Offset from the most stable computed form**: 6.0 meV/atom
**Density**: 8904 kg/m³
**Calculated formation energy**: 0.04 eV/f.u.
**D(E_F)**: 6.0 states/eV/f.u.

---

VASP calculation (GGA-PBE) on a relaxed Ca2Cd5Ag5 crystal.

Structure (extended XYZ):
```
12
Lattice="-0.7450 -4.6356 0.5540 0.5524 -0.7731 -5.7264 9.8648 -1.4483 1.1472" Properties=species:S:1:pos:R:3 pbc="T T T"
Ag 2.2395 -2.8758 -0.8792
Cd 3.5708 -0.8703 -2.4801
Ca 4.9324 -0.7242 0.5736
Cd -0.3725 -2.3178 0.2770
Ca 0.2762 -0.3865 -2.8632
Ag 4.8361 -3.4285 -2.0126
Cd 6.8465 -1.3512 -2.0991
Cd 1.7224 -0.2529 0.2003
Ag 7.1589 -3.5980 -0.3071
Cd 8.1424 -1.1955 0.9469
Ag 7.4328 -3.9813 -3.1460
Ag 2.5133 -3.2590 -3.7181
```

Output
**Offset from the most stable computed form**: 6.1 meV/atom
**Density**: 7124 kg/m³
**Calculated formation energy**: -2.36 eV/f.u.
**D(E_F)**: 4.0 states/eV/f.u.

---

VASP calculation (GGA-PBE) on a relaxed La8TlGe2 crystal.

Structure (extended XYZ):
```
11
Lattice="-5.5069 -0.5349 -1.6679 -0.1099 -4.3317 7.3165 0.6846 8.4550 0.5928" Properties=species:S:1:pos:R:3 pbc="T T T"
La -1.9673 1.6680 6.5879
Ge -2.8241 -0.5697 4.6340
La -4.0930 2.0598 3.4336
Tl -5.4725 -0.4831 -1.5654
La -4.9063 4.6070 0.0340
La -0.9274 1.6337 2.9974
Ge -2.5152 4.4006 2.0205
La -5.3222 -2.0853 3.5530
La -1.7811 4.6646 5.0122
La -2.8273 2.0878 -0.0877
La -3.0174 -0.9711 1.5207
```

Output
**Density**: 6957 kg/m³
**Calculated formation energy**: -4.14 eV/f.u.
**D(E_F)**: 10.7 states/eV/f.u.

---

VASP calculation (GGA-PBE) on a relaxed Tc2NiRu crystal.

Structure (extended XYZ):
```
4
Lattice="-2.5987 0.6371 -0.1786 -0.9194 -3.2586 1.7537 0.2773 2.4448 4.6883" Properties=species:S:1:pos:R:3 pbc="T T T"
Tc 0.0026 0.0231 0.0443
Ru -1.5511 0.5229 4.3038
Tc 0.1360 1.1993 2.2998
Ni -1.6898 -0.6995 1.9596
```

Output
**Offset from the most stable computed form**: 81.5 meV/atom
**Density**: 10912 kg/m³
**Calculated formation energy**: 0.13 eV/f.u.
**D(E_F)**: 4.5 states/eV/f.u.

---

VASP calculation (GGA-PBE) on a relaxed InCuHgPd2 crystal.

Structure (extended XYZ):
```
5
Lattice="-3.1443 1.9745 2.9772 -3.4851 -2.5980 -1.9577 0.8116 -3.4676 3.1569" Properties=species:S:1:pos:R:3 pbc="T T T"
Pd -1.5721 0.9872 1.4886
Hg -2.9089 -2.0456 2.0882
Pd 0.4058 -1.7338 1.5784
Cu 0.0000 0.0000 0.0000
In -1.7425 -1.2990 -0.9788
```

Output
**Density**: 9101 kg/m³
**Calculated formation energy**: 1.91 eV/f.u.
- - -

• Here it is:
**Calculated formation energy**: -0.42 eV/f.u.
**D(E_F)**: 4.1 states/eV/f.u.

---

VASP calculation (GGA-PBE) on a relaxed TbDyTm2 crystal.

Structure (extended XYZ):
```
4
Lattice="3.5427 0.0000 0.0000 1.7714 3.0681 0.0000 1.7714 1.0227 11.3117" Properties=species:S:1:pos:R:3 pbc="T T T"
Tm 1.7714 1.0227 2.8410
Tm 1.7714 1.0227 8.4746
Dy 3.5427 2.0454 5.6395
Tb 3.5427 2.0454 0.0125
```

Output
**Offset from the most stable computed form**: 6.0 meV/atom
**Density**: 8904 kg/m³
**Calculated formation energy**: 0.04 eV/f.u.
**D(E_F)**: 6.0 states/eV/f.u.

---

VASP calculation (GGA-PBE) on a relaxed Ca2Cd5Ag5 crystal.

Structure (extended XYZ):
```
12
Lattice="-0.7450 -4.6356 0.5540 0.5524 -0.7731 -5.7264 9.8648 -1.4483 1.1472" Properties=species:S:1:pos:R:3 pbc="T T T"
Ag 2.2395 -2.8758 -0.8792
Cd 3.5708 -0.8703 -2.4801
Ca 4.9324 -0.7242 0.5736
Cd -0.3725 -2.3178 0.2770
Ca 0.2762 -0.3865 -2.8632
Ag 4.8361 -3.4285 -2.0126
Cd 6.8465 -1.3512 -2.0991
Cd 1.7224 -0.2529 0.2003
Ag 7.1589 -3.5980 -0.3071
Cd 8.1424 -1.1955 0.9469
Ag 7.4328 -3.9813 -3.1460
Ag 2.5133 -3.2590 -3.7181
```

Output
**Offset from the most stable computed form**: 6.1 meV/atom
**Density**: 7124 kg/m³
**Calculated formation energy**: -2.36 eV/f.u.
**D(E_F)**: 4.0 states/eV/f.u.